== Job ==
Next, copy the contents further below word for word.
== Excerpt ==
┌──
# KMoBr3

A relaxed structure of KMoBr3 (PBE-GGA, Alexandria).

Cell: 5.452 5.452 5.452 Å, 90.00 90.00 90.00°
Each line ends with the local moment (μB).
Sites, in units of the cell vectors:
1 K 0.500 0.500 0.500  0.00
2 Br 0.000 0.500 0.000  0.04
3 Br 0.500 0.000 0.000  0.04
4 Mo 0.000 0.000 0.000  3.28
5 Br 0.000 0.000 0.500  0.04

Calculated values
- total energy (eV per formula unit) = -20.228
- total magnetic moment (μB per cell) = 4.0
- crystal system = cubic
- polymorph energy (0 for the lowest one) (eV per atom) = 0.1847
- calculated volume (Å³ per atom) = 32.4
- E_form (uncorrected) (eV/atom) = -0.6562

***

# ScCu2Pb

A relaxed structure of ScCu2Pb (PBE-GGA, Alexandria).

Cell: 4.240 3.563 5.293 Å, 70.40 90.00 90.00°
Sites, in units of the cell vectors:
1 Pb 0.000 0.470 0.434
2 Cu 0.000 0.193 0.986
3 Cu 0.500 0.064 0.249
4 Sc 0.500 0.772 0.830

Calculated values
- total energy (eV per formula unit) = -18.506
- total magnetic moment (μB per cell) = 0.0
- crystal system = monoclinic
- calculated volume (Å³ per atom) = 18.8
- ΔH_f (0 K) (eV per atom) = -0.07

***

# CoSb2Pb

A relaxed structure of CoSb2Pb (PBE-GGA, Alexandria).

Cell: 3.183 3.183 9.313 Å, 90.00 90.00 90.01°
Each line ends with the local moment (μB).
Sites, in units of the cell vectors:
1 Sb 0.000 0.000 0.420  0.00
2 Sb 0.000 0.000 0.080  0.00
3 Co 0.500 0.500 0.250  0.14
4 Pb 0.500 0.500 0.750  0.00

Calculated values
- total energy (eV per formula unit) = -18.635
- total magnetic moment (μB per cell) = 0.1
- crystal system = tetragonal
- calculated volume (Å³ per atom) = 23.6
- E_form (uncorrected) (eV/atom) = 0.1061

***

# EuLuIr4

A relaxed structure of EuLuIr4 (PBE-GGA, Alexandria).

Cell: 5.365 5.365 5.365 Å, 60.00 60.00 60.00°
Each line ends with the local moment (μB).
Sites, in units of the cell vectors:
1 Ir 0.126 0.625 0.625  -0.13
2 Lu 0.250 0.250 0.250  0.07
3 Ir 0.625 0.625 0.625  -0.13
4 Eu 0.000 0.000 0.000  6.65
5 Ir 0.625 0.625 0.126  -0.13
6 Ir 0.625 0.126 0.625  -0.13

Calculated values
- total energy (eV per formula unit) = -54.089
- total magnetic moment (μB per cell) = 6.4
- crystal system = cubic
- calculated volume (Å³ per atom) = 18.2
- ΔH_f (0 K) (eV per atom) = -0.64

***

Among the records above, which one has the highest calculated volume? KMoBr3

***

Among the records above, which one has the highest total energy? ScCu2Pb


No. 1
# Tb8Hg2Ru

A geometry-optimized Tb8Hg2Ru structure (PBE, the Alexandria database).

Lattice parameters (Å, degrees): 5.0239 8.4510 14.2189 90.00 90.00 90.00
Space group Immm (No. 71)
One atom of each set of equivalent atoms:
Tb 0.0000 0.0000 0.1199
Tb 0.0000 0.2305 0.3488
Tb 0.0000 0.3308 0.0000
Hg 0.0000 0.5000 0.2008
Ru 0.0000 0.5000 0.5000

Summary:
- Theoretical density: 9.8 g cm⁻³
- Energy above the most stable polymorph in this dataset: 0.1247 eV per atom
- Calculated formation energy: -0.1371 eV per atom


No. 2
# Tb2HgRu

A geometry-optimized Tb2HgRu structure (PBE, the Alexandria database).

Lattice parameters (Å, degrees): 3.4896 3.4896 7.5669 90.00 90.00 90.00
Space group P4/mmm (No. 123)
One atom of each set of equivalent atoms:
Tb 0.0000 0.0000 0.2200
Hg 0.5000 0.5000 0.5000
Ru 0.5000 0.5000 0.0000

Summary:
- Theoretical density: 11.2 g cm⁻³
- Energy above the most stable polymorph in this dataset: 0.0000 eV per atom
- Calculated formation energy: -0.4631 eV per atom


No. 3
# Tb4Hg2Ru

A geometry-optimized Tb4Hg2Ru structure (PBE, the Alexandria database).

Lattice parameters (Å, degrees): 11.2404 4.4649 8.7415 90.00 121.11 90.00
Space group C2/m (No. 12)
One atom of each set of equivalent atoms:
Tb 0.0718 0.0000 0.3480
Tb 0.1700 0.5000 0.0633
Hg 0.1488 0.5000 0.6686
Ru 0.0000 0.0000 0.0000

Summary:
- Theoretical density: 10.1 g cm⁻³
- Calculated formation energy: -0.3764 eV per atom


No. 4
# Tb5HgRu

A geometry-optimized Tb5HgRu structure (PBE, the Alexandria database).

Lattice parameters (Å, degrees): 9.4051 7.3559 11.8088 90.00 106.43 90.00
Space group C2/c (No. 15)
└──
== Solution ==
# KMoBr3

A relaxed structure of KMoBr3 (PBE-GGA, Alexandria).

Cell: 5.452 5.452 5.452 Å, 90.00 90.00 90.00°
Each line ends with the local moment (μB).
Sites, in units of the cell vectors:
1 K 0.500 0.500 0.500  0.00
2 Br 0.000 0.500 0.000  0.04
3 Br 0.500 0.000 0.000  0.04
4 Mo 0.000 0.000 0.000  3.28
5 Br 0.000 0.000 0.500  0.04

Calculated values
- total energy (eV per formula unit) = -20.228
- total magnetic moment (μB per cell) = 4.0
- crystal system = cubic
- polymorph energy (0 for the lowest one) (eV per atom) = 0.1847
- calculated volume (Å³ per atom) = 32.4
- E_form (uncorrected) (eV/atom) = -0.6562

***

# ScCu2Pb

A relaxed structure of ScCu2Pb (PBE-GGA, Alexandria).

Cell: 4.240 3.563 5.293 Å, 70.40 90.00 90.00°
Sites, in units of the cell vectors:
1 Pb 0.000 0.470 0.434
2 Cu 0.000 0.193 0.986
3 Cu 0.500 0.064 0.249
4 Sc 0.500 0.772 0.830

Calculated values
- total energy (eV per formula unit) = -18.506
- total magnetic moment (μB per cell) = 0.0
- crystal system = monoclinic
- calculated volume (Å³ per atom) = 18.8
- ΔH_f (0 K) (eV per atom) = -0.07

***

# CoSb2Pb

A relaxed structure of CoSb2Pb (PBE-GGA, Alexandria).

Cell: 3.183 3.183 9.313 Å, 90.00 90.00 90.01°
Each line ends with the local moment (μB).
Sites, in units of the cell vectors:
1 Sb 0.000 0.000 0.420  0.00
2 Sb 0.000 0.000 0.080  0.00
3 Co 0.500 0.500 0.250  0.14
4 Pb 0.500 0.500 0.750  0.00

Calculated values
- total energy (eV per formula unit) = -18.635
- total magnetic moment (μB per cell) = 0.1
- crystal system = tetragonal
- calculated volume (Å³ per atom) = 23.6
- E_form (uncorrected) (eV/atom) = 0.1061

***

# EuLuIr4

A relaxed structure of EuLuIr4 (PBE-GGA, Alexandria).

Cell: 5.365 5.365 5.365 Å, 60.00 60.00 60.00°
Each line ends with the local moment (μB).
Sites, in units of the cell vectors:
1 Ir 0.126 0.625 0.625  -0.13
2 Lu 0.250 0.250 0.250  0.07
3 Ir 0.625 0.625 0.625  -0.13
4 Eu 0.000 0.000 0.000  6.65
5 Ir 0.625 0.625 0.126  -0.13
6 Ir 0.625 0.126 0.625  -0.13

Calculated values
- total energy (eV per formula unit) = -54.089
- total magnetic moment (μB per cell) = 6.4
- crystal system = cubic
- calculated volume (Å³ per atom) = 18.2
- ΔH_f (0 K) (eV per atom) = -0.64

***

Among the records above, which one has the highest calculated volume? KMoBr3

***

Among the records above, which one has the highest total energy? ScCu2Pb


No. 1
# Tb8Hg2Ru

A geometry-optimized Tb8Hg2Ru structure (PBE, the Alexandria database).

Lattice parameters (Å, degrees): 5.0239 8.4510 14.2189 90.00 90.00 90.00
Space group Immm (No. 71)
One atom of each set of equivalent atoms:
Tb 0.0000 0.0000 0.1199
Tb 0.0000 0.2305 0.3488
Tb 0.0000 0.3308 0.0000
Hg 0.0000 0.5000 0.2008
Ru 0.0000 0.5000 0.5000

Summary:
- Theoretical density: 9.8 g cm⁻³
- Energy above the most stable polymorph in this dataset: 0.1247 eV per atom
- Calculated formation energy: -0.1371 eV per atom


No. 2
# Tb2HgRu

A geometry-optimized Tb2HgRu structure (PBE, the Alexandria database).

Lattice parameters (Å, degrees): 3.4896 3.4896 7.5669 90.00 90.00 90.00
Space group P4/mmm (No. 123)
One atom of each set of equivalent atoms:
Tb 0.0000 0.0000 0.2200
Hg 0.5000 0.5000 0.5000
Ru 0.5000 0.5000 0.0000

Summary:
- Theoretical density: 11.2 g cm⁻³
- Energy above the most stable polymorph in this dataset: 0.0000 eV per atom
- Calculated formation energy: -0.4631 eV per atom


No. 3
# Tb4Hg2Ru

A geometry-optimized Tb4Hg2Ru structure (PBE, the Alexandria database).

Lattice parameters (Å, degrees): 11.2404 4.4649 8.7415 90.00 121.11 90.00
Space group C2/m (No. 12)
One atom of each set of equivalent atoms:
Tb 0.0718 0.0000 0.3480
Tb 0.1700 0.5000 0.0633
Hg 0.1488 0.5000 0.6686
Ru 0.0000 0.0000 0.0000

Summary:
- Theoretical density: 10.1 g cm⁻³
- Calculated formation energy: -0.3764 eV per atom


No. 4
# Tb5HgRu

A geometry-optimized Tb5HgRu structure (PBE, the Alexandria database).

Lattice parameters (Å, degrees): 9.4051 7.3559 11.8088 90.00 106.43 90.00
Space group C2/c (No. 15)